(Input)
Entry 1:
The following is a computed X-ray powder pattern of K6Hg23Sb. It was derived from DFT lattice parameters and positions (PBE), using a wavelength of 1.5418 Å.
No peak broadening, texture or thermal motion is included.

Structure:
```
data_K6Hg23Sb
_space_group_name_H-M_alt 'F m -3 m'
_space_group_IT_number 225
_space_group_name_Hall '-F 4 2 3'
_cell_length_a 15.479
_cell_length_b 15.479
_cell_length_c 15.479
_cell_angle_alpha 90.00
_cell_angle_beta 90.00
_cell_angle_gamma 90.00
loop_
_atom_site_label
_atom_site_type_symbol
_atom_site_fract_x
_atom_site_fract_y
_atom_site_fract_z
K1 K 0.000 0.000 0.222
Hg1 Hg 0.000 0.000 0.500
Hg2 Hg 0.000 0.250 0.250
Hg3 Hg 0.122 0.122 0.378
Hg4 Hg 0.161 0.161 0.161
Sb1 Sb 0.000 0.000 0.000
```

Largest 10 diffraction maxima, sorted by position, 5° ≤ 2θ ≤ 70°:
(hkl)  2θ (°)  intensity
2 0 0  11.4  13
2 2 2  19.9  19
3 3 3  30.0  19
4 4 0  32.7  100
5 3 1  34.3  19
6 2 2  38.6  22
8 0 0  47.0  10
9 3 1  56.7  11
8 4 4  58.4  24
9 3 3  59.4  12



Entry 2:
The following is a computed X-ray powder pattern of DyY3Th4. It was derived from DFT lattice parameters and positions (PBE), using a wavelength of 1.5418 Å.
No peak broadening, texture or thermal motion is included.

Structure:
```
data_DyY3Th4
_space_group_name_H-M_alt 'I m m m'
_space_group_IT_number 71
_space_group_name_Hall '-I 2 2'
_cell_length_a 3.440
_cell_length_b 11.437
_cell_length_c 13.198
_cell_angle_alpha 90.00
_cell_angle_beta 90.00
_cell_angle_gamma 90.00
loop_
_atom_site_label
_atom_site_type_symbol
_atom_site_fract_x
_atom_site_fract_y
_atom_site_fract_z
Dy1 Dy 0.000 0.000 0.000
Y1 Y 0.000 0.000 0.500
Y2 Y 0.000 0.500 0.264
Th1 Th 0.000 0.251 0.130
```

Largest 10 diffraction maxima, sorted by position, 5° ≤ 2θ ≤ 70°:
(hkl)  2θ (°)  intensity
0 2 0  15.5  20
1 0 1  26.8  25
1 1 2  30.3  16
1 2 1  31.1  24
0 4 0  31.3  100
1 2 3  36.7  33
1 4 1  41.6  16
1 4 3  46.2  16
0 6 4  55.7  19
2 4 0  63.1  27

(To do)
The reader should filter the listing above: keep the lines with the word "Th1".

(Reply)
Th1 Th 0.000 0.251 0.130